There is a fine line between dating exclusively and entering a relationship. Both partners must feel attracted to each other and desire the same things.
The best way to navigate this territory is communication. Here are some signs that you’re in a relationship, and how to take the lead. A healthy relationship requires open communication between both partners.
Talking about exclusive dating vs relationship
## Records of crystals, kept here for reference
+++
DFT (r2SCAN) results for HoMgHg2 after structural relaxation.

Properties
ΔH_f (0 K)	-0.51	eV/atom
V	89.1	Å³/f.u.
size of the total moment	0.000	μB/f.u.
space-group type	No. 225

Cell and atoms, written as POSCAR:
```
HoMgHg2
1.0
-3.2738 -2.5553 2.8079
-3.9467 2.3480 2.0105
-4.6130 -0.9154 -1.7362
Mg Hg Ho
1 2 1
Direct
0.7500 0.7500 0.7500
0.0000 0.0000 0.0000
0.5000 0.5000 0.5000
0.2500 0.2500 0.2500
```


DFT (r2SCAN) results for SmNiC2 after structural relaxation.

Properties
ΔH_f (0 K)	-0.40	eV/atom
V	51.1	Å³/f.u.
size of the total moment	0.000	μB/f.u.
space-group type	No. 38

Cell and atoms, written as POSCAR:
```
SmNiC2
1.0
2.2501 -3.0250 0.0000
2.2501 3.0250 0.0000
0.0000 0.0000 3.7547
C Ni Sm
2 1 1
Direct
0.4531 0.8499 0.5000
0.1501 0.5469 0.5000
0.6114 0.3886 0.5000
0.0004 0.9996 0.0000
```
+++
If you are in a relationship, one of the best things you can do is talk about the concept of exclusive dating. Exclusive dating is a step toward a more committed relationship. It means that you envision a future together. But this doesn’t mean that you should exclude old friends or backup people.
Exclusive dating is different from being in a relationship in several ways. In exclusive dating, both partners stop seeing others. In a relationship, you may have a partner with whom you spend a lot of time. In an exclusive relationship, you are both committed to the other person. This is the best way to determine if you are ready to commit to each other.
The first step to exclusive dating is to be clear about what you want. Be sure to use the right words to make your intentions clear. It is important to avoid being vague in this area, as it can be harmful to both your heart and mind. If your partner says no, don’t be afraid to ask them why. This way, you’ll be able to clarify the status of your relationship and address underlying problems.
# Next to the page, the page also holds crystal structures
=====
Density functional theory data (PBE) for a relaxed RbHoP4O12 crystal.

Computed properties:
**Volume**: 988.5 Å³/cell
**E (MP2020)**: -7.73 eV/atom
**Crystal system**: monoclinic

Geometry as CIF:
```
data_RbHoP4O12
_chemical_formula_sum 'Rb4 Ho4 P16 O48'
_space_group_name_H-M_alt 'P 1 21/c 1'
_space_group_IT_number 14
_cell_length_a 10.387
_cell_length_b 8.957
_cell_length_c 12.879
_cell_angle_alpha 90.00
_cell_angle_beta 124.41
_cell_angle_gamma 90.00
loop_
_space_group_symop_operation_xyz
'x,y,z'
'-x,-y,-z'
'-x,y+1/2,-z+1/2'
'x,-y+1/2,z+1/2'
loop_
_atom_site_label
_atom_site_type_symbol
_atom_site_fract_x
_atom_site_fract_y
_atom_site_fract_z
Rb1 Rb 0.233 0.066 0.042
Ho1 Ho 0.317 0.727 0.818
P1 P 0.025 0.025 0.279
P2 P 0.198 0.610 0.023
P3 P 0.325 0.171 0.366
P4 P 0.389 0.092 0.742
O1 O 0.038 0.548 0.900
O2 O 0.072 0.586 0.717
O3 O 0.133 0.594 0.302
O4 O 0.155 0.157 0.343
O5 O 0.163 0.712 0.097
O6 O 0.266 0.048 0.596
O7 O 0.279 0.209 0.755
O8 O 0.298 0.667 0.982
O9 O 0.368 0.028 0.333
O10 O 0.424 0.541 0.324
O11 O 0.430 0.243 0.492
O12 O 0.479 0.677 0.746
```



Density functional theory data (PBE) for a relaxed KCN crystal.

Computed properties:
**Volume**: 279.9 Å³/cell
**E (MP2020)**: -6.61 eV/atom
**Crystal system**: monoclinic

Geometry as CIF:
```
data_KCN
_chemical_formula_sum 'K4 C4 N4'
_space_group_name_H-M_alt 'C 1 c 1'
_space_group_IT_number 9
_cell_length_a 7.659
_cell_length_b 4.702
_cell_length_c 8.220
_cell_angle_alpha 90.00
_cell_angle_beta 108.95
_cell_angle_gamma 90.00
loop_
_space_group_symop_operation_xyz
'x,y,z'
'x,-y,z+1/2'
'x+1/2,y+1/2,z'
'x+1/2,-y+1/2,z+1/2'
loop_
_atom_site_label
_atom_site_type_symbol
_atom_site_fract_x
_atom_site_fract_y
_atom_site_fract_z
K1 K 0.000 0.194 0.000
C1 C 0.232 0.343 0.710
N1 N 0.272 0.157 0.811
```



Density functional theory data (PBE) for a relaxed RbH6C2S2NO4 crystal.

Computed properties:
**Volume**: 835.2 Å³/cell
**E (MP2020)**: -5.59 eV/atom
**Crystal system**: monoclinic

Geometry as CIF:
```
data_RbH6C2S2NO4
_chemical_formula_sum 'Rb4 H24 C8 S8 N4 O16'
_space_group_name_H-M_alt 'P 1 21/c 1'
_space_group_IT_number 14
_cell_length_a 7.976
_cell_length_b 8.739
_cell_length_c 12.542
_cell_angle_alpha 90.00
_cell_angle_beta 107.16
_cell_angle_gamma 90.00
loop_
_space_group_symop_operation_xyz
'x,y,z'
'-x,-y,-z'
'-x,y+1/2,-z+1/2'
'x,-y+1/2,z+1/2'
loop_
_atom_site_label
_atom_site_type_symbol
_atom_site_fract_x
_atom_site_fract_y
_atom_site_fract_z
Rb1 Rb 0.074 0.029 0.291
H1 H 0.235 0.023 0.021
H2 H 0.268 0.206 0.589
H3 H 0.352 0.602 0.453
H4 H 0.411 0.595 0.604
H5 H 0.441 0.151 0.530
H6 H 0.492 0.207 0.675
C1 C 0.304 0.587 0.526
C2 C 0.396 0.151 0.604
S1 S 0.145 0.732 0.522
S2 S 0.378 0.541 0.145
N1 N 0.238 0.605 0.032
O1 O 0.021 0.728 0.409
O2 O 0.068 0.698 0.612
O3 O 0.311 0.540 0.242
O4 O 0.450 0.114 0.335
```

~~~~~

Model w:
Here is a relaxed Fe2Mo4O7 crystal from the Materials Project database. Energies are from PBE+U.

Properties
total magnetic moment: 36.0 μB per cell

```
=====
Signs of a healthy relationship
One of the most important signs of a healthy relationship is exclusivity. A man who is emotionally healthy would never be ashamed to tell his friends or family that he is dating only one woman. Another sign that a man is dating exclusively is if he introduces his partner to his family, friends, and kids.
Exclusive relationships should take time to form. If two people are comfortable with each other, they can move in together down the road. As the relationship progresses, each person will feel comfortable sharing more of themselves and their time. During this time, both partners will start to get the inkling that their relationship may be more serious.
Signs that you’re in an exclusive relationship
Exclusive relationships are different from regular ones. These relationships are not open to other men. When you’re in an exclusive relationship, both partners stop looking for other men. For example, you’ll stop grooming each other and shaving your legs. Unlike a regular relationship, you won’t discuss your relationship with other people.
Exclusive relationships need a lot of time and attention. This is not for everyone. If you’re not ready for a long-term commitment, an exclusive relationship may not be for you. For example, you may not want a spouse or children. It’s a serious commitment that requires some discussion before you can fully commit.
Ideally, your relationship will be open and honest. This means that you’ll want to share your life with your partner, but that you’ll not hurt them or others in the process. Before starting a relationship, you should ensure that your partner’s definition of exclusiveness matches yours. This means that you share similar goals and values.
Here the piece breaks off for materials data:
┌──
Entry 1:
Material: CdHg2SeO6
Method: DFT, PBE
State: optimized geometry

Computed properties:
Total DFT energy (no corrections) ... -4.13 eV per atom
Formation enthalpy at 0 K ... -1075 meV/atom
Theoretical density ... 6920 kg/m³
Excess energy over the best structure of this formula in the dataset ... 0.00 eV/f.u.

```
CdHg2SeO6
1.0
7.023 0.000 0.000
3.190 6.627 0.000
2.814 0.938 7.100
Cd Hg Se O
2 4 2 12
direct
0.166 0.363 0.288
0.834 0.637 0.712
0.158 0.859 0.292
0.344 0.144 0.709
0.656 0.856 0.291
0.842 0.141 0.708
0.297 0.634 0.813
0.703 0.366 0.187
0.050 0.303 0.638
0.136 0.706 0.670
0.222 0.826 0.930
0.279 0.421 0.955
0.347 0.023 0.257
0.442 0.421 0.331
0.558 0.579 0.669
0.653 0.977 0.743
0.721 0.579 0.045
0.778 0.174 0.070
0.864 0.294 0.330
0.950 0.697 0.362
```

Entry 2:
Material: CdHgPd2
Method: DFT, PBE
State: optimized geometry

Computed properties:
Total DFT energy (no corrections) ... -3.18 eV per atom
Formation enthalpy at 0 K ... -285 meV/atom
Theoretical density ... 12164 kg/m³

```
CdHgPd2
1.0
0.000 3.299 3.299
3.299 0.000 3.299
3.299 3.299 0.000
Cd Hg Pd
1 1 2
direct
0.000 0.000 0.000
0.500 0.500 0.500
0.250 0.250 0.250
0.750 0.750 0.750
```

Entry 3:
Material: Pr2CdHg
Method: DFT, PBE
State: optimized geometry

Computed properties:
Total DFT energy (no corrections) ... -3.08 eV per atom
Formation enthalpy at 0 K ... -386 meV/atom
Theoretical density ... 8457 kg/m³

```
Pr2CdHg
1.0
0.000 3.880 3.880
3.880 0.000 3.880
3.880 3.880 0.000
Pr Cd Hg
2 1 1
direct
0.250 0.250 0.250
0.750 0.750 0.750
0.000 0.000 0.000
0.500 0.500 0.500
```

Entry 4:
Material: CdHgS4
Method: DFT, PBE
State: optimized geometry

Computed properties:
Total DFT energy (no corrections) ... -2.94 eV per atom
Formation enthalpy at 0 K ... -309 meV/atom
Theoretical density ... 5123 kg/m³
Excess energy over the best structure of this formula in the dataset ... 0.00 eV/f.u.

```
CdHgS4
1.0
-3.887 3.887 2.366
3.887 -3.887 2.366
3.887 3.887 -2.366
Cd Hg S
1 1 4
direct
0.000 0.000 0.000
0.750 0.250 0.500
0.097 0.133 0.466
0.369 0.903 0.036
0.667 0.631 0.534
0.867 0.333 0.964
```

Entry 5:
Material: CdHgS4
Method: DFT, PBE
State: optimized geometry

Computed properties:
Total DFT energy (no corrections) ... -2.60 eV per atom
Formation enthalpy at 0 K ... 25 meV/atom
Theoretical density ... 4505 kg/m³
Excess energy over the best structure of this formula in the dataset ... 2.00 eV/f.u.

```
CdHgS4
1.0
-5.198 5.198 1.505
5.198 -5.198 1.505
5.198 5.198 -1.505
Cd Hg S
1 1 4
direct
0.000 0.000 0.000
0.750 0.250 0.500
0.049 0.575 0.101
0.052 0.951 0.526
0.425 0.526 0.474
0.474 0.948 0.899
```

Entry 6:
Material: SmCdHg2
Method: DFT, PBE
State: optimized geometry

Computed properties:
Total DFT energy (no corrections) ... -1.96 eV per atom
Formation enthalpy at 0 K ... -401 meV/atom
Theoretical density ... 11316 kg/m³

```
SmCdHg2
1.0
0.000 3.652 3.652
3.652 0.000 3.652
3.652 3.652 0.000
Sm Cd Hg
1 1 2
direct
0.000 0.000 0.000
0.500 0.500 0.500
0.250 0.250 0.250
└──
Here the piece continues:
Taking the lead in exclusive dating vs relationship
Choosing between exclusive dating and a relationship can be a challenge. It is important to respect your partner’s space and boundaries while maintaining a romantic relationship. It is not a good idea to become needy or clingy right from the start. Instead, it is important to respect your partner’s boundaries by defining your expectations early.
While exclusive dating is a transitional phase between being single and being in a relationship, exclusive dating requires two people to become more involved. This can be a challenge, but it’s also an exciting step in the relationship. It requires the two people to take their relationship to the next level, so understanding each other’s desires and intentions is essential.
Communication in an exclusive relationship
If you’re in an exclusive relationship, communication is the key to the success of the relationship. It’s important to talk to your partner regularly, and make plans to see one another often. You should enjoy spending time with your special someone and envision a future together. If this isn’t happening, you may want to find someone else.
Communicating in an exclusive relationship can help prevent arguments and make it easier for you to reach a mutual decision. It’s also important to make sure your partner is open about his/her expectations. Having secrets between you can be a dangerous scenario.